Other Minds Festivals ➔ Other Minds Festival: OM 7, Concert 1 (selections), 2 of 7

Digital Audio

Event Type
Other Minds
Program Series
Other Minds Festival
Program Length
38 min
2 of 7
| broadcast
| 2001-03-08 | created
Glen Velez: Rain

Egyptians play a tambourine called the riq. This solo exploits the dual nature of this instrument, as a drum and as a cymbal.
-Glen Velez

# Next to the article, the page also holds materials data
-- begin --
Li3V5O14 (PBE+U, relaxed); energy with MP2020 corrections = -7.761 eV per atom; space-group type = P31m, No. 157; calculated formation energy = -2.287 eV/atom
1.0
4.385 -7.596 0.000
4.385 7.596 0.000
0.000 0.000 4.892
Li V O
3 5 14
Cartesian
2.710 4.694 0.810 Li
3.350 0.000 0.810 Li
2.710 -4.694 0.810 Li
0.986 1.708 2.134 V
4.385 2.532 2.259 V
0.986 -1.708 2.134 V
6.798 0.000 2.134 V
4.385 -2.532 2.259 V
3.619 6.268 1.638 O
0.992 1.718 3.756 O
4.953 4.079 1.599 O
2.762 2.250 1.599 O
4.385 2.532 3.903 O
1.533 0.000 1.638 O
5.441 1.267 1.599 O
0.992 -1.718 3.756 O
6.787 0.000 3.756 O
2.762 -2.250 1.599 O
5.441 -1.267 1.599 O
4.385 -2.532 3.903 O
4.953 -4.079 1.599 O
-- stop --

Alan Hovhaness: Khaldis (Concerto for piano, four trumpets & percussion)

Khaldis was the ‘Supreme God Of The Universe' of Urardu or pre-Armenia. The title has deep significance in this case, since the entire concerto is conceived as an adorational piece. The trumpets serve almost as might a chorus (the writing for them is of a vocal variety that is unmistakable) and their music is that of praise. Although the work is not a concerto in the true classical sense, it follows the tradition of pitting a solo instrument against an instrumental body by creating what might be termed a rhythmic war between the piano and the trumpets. The percussion—tympani, tam-tam, and suspended cymbal—are used in counterpoint rather than as a reinforcement.
Byzantinian in quality and texture, the spiritual source for the piece seems to be much farther back in time. Symbolically, it is a poetico-musical picture of the religious atmosphere of an ancient pagan culture. The seven movements each seem to represent a contrasted secular activity of life. As each impression concentrates itself, it spirals up to be swept into the sudden song of presence of the supreme god. And that presence always seems serene (even when the over-riding juggernaut of sound as the trumpets appear represents the hymn of praise in bustling, polytonal dissonance).
- Edward Cole

Aleksandra Vrebalov: String Quartet No. 2, (Sketches on Pendulums, Loss, Autism, and Nine Places)

In the summer of 1996, I met David Harrington in New York. We talked about music, life, weather, food, and friends. Soon after that, I had a dream with a string quartet soundtrack. This materialized in the form of the last, fourth section of the work and led me to begin it in the first place. It took me eight months to finish it. At that time, I was moving back to Yugoslavia after a year spent in San Francisco, and in that transitional and restless phase of my life, work on the quartet was the only stable and permanent anchor. The subtitle of the piece, "Sketches on Pendulums, Loss, Autism and Nine Places," encompasses many of the feelings with which I dealt at that time: the necessity to leave the people and place whom I came to love so much, the feeling of being trapped in a hermetic world of memories, and pendulum-like life happenings, in which light and dark constantly shift. The "nine places" are quite literally the locations in which I composed the quartet, and each of them left its imprint on the piece: New York, San Francisco, Menlo Park, Novi Sad, Sombor, Amsterdam, Fruska Gora National Park, the Kopaonik Mountains, and Belgrade. The Quartet was premiered by the Kronos Quartet (for whom it was written) at the Vienna Staatsoper, in July 1997, incidentally with then First Lady Hillary Rodham Clinton in attendance.
- Aleksandra Vrebalov

Gavin Bryars: The Adnan Songbook

The songs in The Adnan Songbook set a group of eight "Love Poems" by the Lebanese writer Etel Adnan. Etel left Beirut many years ago and now lives and works in California and Paris. I collaborated with her on Robert Wilson's large scale operatic project, the CIVIL WarS in 1984, and one aria from that opera to words by Etel, "La Reine de la Mer," forms part of my cantata "Effarene." We worked together, with a number of other performers and designers, in the isolated setting of the Monastery of La Sainte Baume in the mountains above Marseilles in a bitterly cold winter. The first of the poems to be set was the fifth one, which was written for Mary Wiegold and the Composers Ensemble in 1992. The first and second, sung by Sarah Leonard, were written in 1995, commissioned by the BBC for the 'Songbook' series as part of their 'Fairest Isle' season. The remainder were commissioned by the Almeida and written in 1996 for performance by Valdine Anderson with my ensemble. She gave the first complete performance in July 1996.
The instrumentation is a restrained one using only six players, but with a combination of instrumental sonorities that characterise my ensemble: two violas, cello, double bass, electric guitar (doubling acoustic guitar) and bass clarinet (doubling clarinet). The vocal part, being for a high lyric soprano, was written for Valdine. In all cases, the music is written with my own performers in mind. The bass-clarinet, for example, has long been one of my favourite instruments and I enjoy the possibility of its extreme ranges. With the electric guitar, I generally prefer it to be played without attack, allowing sustained chords or melodic lines to complement those of the strings, and this grainy combination of electric guitar and low strings was one which I first used with Bill Frisell in After the Requiem (1990). The formation of the strings here provides in effect a kind of string quartet, transposed substantially downwards. For the last three songs the bass-clarinet moves to B flat clarinet, and the electric guitar changes to the classical acoustic instrument.
There are many cross-references between the songs, as there are between the poems, and three of them are extended by instrumental epilogues—viola for numbers two and eight, clarinet for number six. The first two songs are played together without a break. The Adnan Songbook is dedicated to my friends Jane Quinn and Martin Duignan.
- Gavin Bryars
Chamber music
Musical Selections
Jhala With Drum [5th movement of “Khaldis”] (1951) (2:52) / Alan Hovhaness
Eve Egoyan, piano
William Winant, percussion
Other Minds Ensemble:
Kale Cumings, trumpet
William Harvey, trumpet
Jason Parks, trumpet
Amanda Piasecki, trumpet
Linda Bouchard, conductor
Chamber music
Sextets (Piano, trumpets (4), percussion)
Concertos (Piano with instrumental ensemble)